May 10, 2024 | Uber/Lyft Accident

Rideshare Safety: Tips for Rideshare Passengers to Enhance Their Safety

While rideshare services like Lyft and Uber offer a convenient form of transportation, the services are not without risk. The unfortunate reality is that rideshare accidents happen all the time.  As a rideshare passenger, being proactive about safety measures can significantly reduce the risk of accidents and ensure a smooth journey for everyone involved. Here are some essential tips for you to keep in mind.

Attached: crystal structures >
┌──
Material: MgW2O4
Method: DFT, PBE+U
State: optimized geometry Values from VASP.

Structure (Quantum ESPRESSO input):
```
&SYSTEM
  ibrav = 0, nat = 14, ntyp = 3
/
ATOMIC_SPECIES
O 16.00 O.upf
W 183.84 W.upf
Mg 24.30 Mg.upf
CELL_PARAMETERS angstrom
1.569 -5.248 0.000
1.569 5.248 0.000
0.000 0.000 10.342
ATOMIC_POSITIONS crystal
O 0.229 0.771 0.115
O 0.019 0.981 0.750
W 0.132 0.868 0.926
O 0.771 0.229 0.615
O 0.771 0.229 0.885
W 0.132 0.868 0.574
W 0.868 0.132 0.426
O 0.229 0.771 0.385
Mg 0.392 0.608 0.750
Mg 0.608 0.392 0.250
O 0.500 0.500 0.000
W 0.868 0.132 0.074
O 0.981 0.019 0.250
O 0.500 0.500 0.500
```

As for the formation energy: -1.791 eV per atom.

----------

(1)
Below is a geometry-optimized GaN structure, with properties calculated at the GGA-PBE level.

Structure (extended XYZ):
```
100
Lattice="10.900 0.000 0.000 0.517 11.405 0.000 0.239 0.078 11.835" Properties=species:S:1:pos:R:3 pbc="T T T"
Ga 0.000 0.000 0.000
Ga 0.280 5.390 0.829
Ga 0.651 11.371 3.638
Ga 0.497 1.234 7.133
Ga 0.959 6.592 8.351
Ga 0.847 2.758 1.325
Ga 1.966 10.899 8.839
Ga 1.826 6.681 3.395
Ga 2.281 6.849 11.311
Ga 2.655 9.059 3.918
Ga 2.583 1.352 3.939
Ga 3.205 5.349 8.438
Ga 3.349 7.830 7.213
Ga 3.165 4.761 2.276
Ga 3.547 10.577 6.197
Ga 3.248 4.394 4.823
Ga 3.248 1.081 9.750
Ga 3.234 1.542 0.811
Ga 3.624 2.146 7.228
Ga 4.137 4.516 11.522
Ga 4.660 6.672 4.652
Ga 5.192 9.423 8.641
Ga 5.177 7.116 1.398
Ga 5.064 3.133 3.185
Ga 5.409 6.951 9.803
Ga 5.819 9.223 4.501
Ga 5.626 1.562 11.319
Ga 5.958 11.342 3.137
Ga 6.030 4.805 7.050
Ga 6.027 3.253 9.081
Ga 6.359 0.772 8.956
Ga 6.592 4.454 0.453
Ga 6.904 4.538 4.218
Ga 7.334 8.969 10.730
Ga 7.364 7.453 6.026
Ga 7.605 10.011 6.878
Ga 7.474 1.505 0.899
Ga 7.805 7.348 3.115
Ga 8.623 10.476 1.662
Ga 8.409 0.988 4.259
Ga 8.932 8.202 8.409
Ga 8.940 0.791 7.069
Ga 9.332 6.544 11.389
Ga 9.561 10.847 10.150
Ga 9.491 9.402 4.477
Ga 9.239 3.916 2.300
Ga 9.933 6.052 4.213
Ga 10.657 8.208 1.630
Ga 10.619 2.720 4.316
Ga 11.306 8.554 10.842
N 0.920 6.054 5.247
N 0.940 2.853 9.212
N 0.908 1.764 3.056
N 1.016 2.589 5.916
N 1.293 6.225 6.378
N 1.443 3.712 9.751
N 1.334 1.222 0.234
N 2.505 10.942 4.573
N 2.409 2.623 5.562
N 2.762 8.845 1.692
N 2.685 3.470 0.877
N 3.261 9.689 7.933
N 3.249 7.951 1.058
N 3.739 10.463 11.161
N 3.748 5.980 10.298
N 4.048 8.566 5.345
N 4.308 9.544 10.789
N 4.176 1.411 2.798
N 4.443 3.914 7.821
N 4.535 0.389 6.651
N 4.860 5.200 1.346
N 5.761 10.134 1.304
N 5.932 11.143 7.505
N 5.702 3.568 10.943
N 5.862 7.644 3.151
N 6.249 5.891 5.498
N 6.533 7.288 11.513
N 6.644 6.108 8.452
N 6.788 10.019 0.736
N 7.248 3.297 5.822
N 7.511 6.281 11.809
N 7.492 6.959 7.949
N 7.294 0.538 2.686
N 7.675 2.153 5.837
N 7.899 3.293 1.149
N 8.580 11.348 8.606
N 8.327 5.407 3.243
N 8.812 10.855 5.581
N 8.916 7.590 4.884
N 8.850 3.339 10.051
N 9.014 8.870 2.543
N 9.267 8.349 10.397
N 8.907 0.067 0.197
N 9.427 2.365 10.034
N 9.572 4.375 6.991
N 9.822 4.925 7.924
N 11.133 9.100 7.273
N 10.994 6.503 2.549
N 11.282 9.211 6.157
└──

Check Driver Ratings and Verify Vehicle Details

Before confirming your rideshare ride, take a moment to review the driver’s rating and feedback from previous passengers. Avoid drivers with consistently low ratings or negative comments regarding safety concerns. It’s okay to refuse a driver if you don’t feel comfortable or safe with getting into their vehicle.

Also, always verify the make, model, and license plate number of the vehicle provided by the ridesharing app. Confirming these details ensures that you’re getting into the right car and helps prevent mistaken identity or potential risks.

Share Trip Details and Wait in Safe Locations

Use the built-in features of the ridesharing app to share your trip details with trusted contacts. This allows your friends or family to track your journey in real-time and provides an additional layer of security.

Further, when requesting a ride, choose well-lit and populated areas as your pickup location. Avoid secluded or dimly lit spots, especially during late hours, to minimize the risk of encountering unsafe situations.

Wear Seatbelts

Data records, as found in the file:
┌──
Entry 1:
Material: Li12Mn7VP12O48
Method: DFT, PBE with a Hubbard U
State: optimized geometry

a b c (Å): 8.6395 8.7365 12.3021
angles (deg): 89.60 87.68 89.36
Positions (direct):
Li: 0.0000 0.0000 0.0000
Li: 0.0000 0.3910 0.0645
Li: 0.1326 0.0850 0.5880
Li: 0.2155 0.5883 0.4353
Li: 0.3432 0.5030 0.0216
Li: 0.3426 0.8878 0.9576
Li: 0.5045 0.7244 0.5645
Li: 0.5065 0.1120 0.4986
Li: 0.6297 0.0233 0.0892
Li: 0.7154 0.5249 0.9333
Li: 0.8430 0.6112 0.5246
Li: 0.8442 0.2256 0.4595
Mn: 0.1701 0.8439 0.1596
Mn: 0.1719 0.7640 0.6523
Mn: 0.1751 0.2651 0.3715
Mn: 0.6706 0.3492 0.1515
Mn: 0.6719 0.2693 0.6594
Mn: 0.6751 0.8465 0.8703
Mn: 0.6756 0.7691 0.3632
V: 0.1751 0.3378 0.8689
P: 0.0261 0.4047 0.6091
P: 0.0257 0.6922 0.9026
P: 0.3171 0.1897 0.1165
P: 0.3231 0.9051 0.4162
P: 0.3883 0.0561 0.7550
P: 0.4623 0.5532 0.7665
P: 0.5229 0.7071 0.1063
P: 0.5282 0.4235 0.4023
P: 0.8183 0.2063 0.9185
P: 0.8209 0.9223 0.6211
P: 0.8831 0.0555 0.2575
P: 0.9628 0.5588 0.2666
O: 0.9996 0.1985 0.9133
O: 0.0277 0.6791 0.1851
O: 0.0584 0.7035 0.7787
O: 0.0626 0.5242 0.9402
O: 0.0679 0.2815 0.5177
O: 0.0741 0.5651 0.5675
O: 0.0949 0.4815 0.3275
O: 0.0970 0.3517 0.7134
O: 0.1183 0.8119 0.9639
O: 0.2248 0.3082 0.0478
O: 0.2527 0.8503 0.3138
O: 0.2563 0.9813 0.6959
O: 0.2728 0.0674 0.4544
O: 0.2795 0.0206 0.0839
O: 0.2794 0.2110 0.2390
O: 0.2827 0.7829 0.5082
O: 0.3212 0.1740 0.8367
O: 0.3410 0.6992 0.1110
O: 0.3527 0.4025 0.4284
O: 0.3525 0.4849 0.8572
O: 0.3753 0.6715 0.6952
O: 0.4749 0.9378 0.8259
O: 0.4925 0.2100 0.0929
O: 0.4973 0.1269 0.6640
O: 0.5050 0.9126 0.4121
O: 0.5248 0.4335 0.6829
O: 0.5588 0.4106 0.2781
O: 0.5619 0.8286 0.0139
O: 0.5657 0.5921 0.4377
O: 0.5742 0.5451 0.0675
O: 0.5941 0.7630 0.2084
O: 0.5964 0.6276 0.8234
O: 0.6232 0.3030 0.4642
O: 0.7278 0.8032 0.5595
O: 0.7469 0.2640 0.8161
O: 0.7504 0.1337 0.1975
O: 0.7689 0.0462 0.9589
O: 0.7807 0.3307 0.0096
O: 0.7842 0.0917 0.5842
O: 0.7890 0.9117 0.7449
O: 0.8180 0.9343 0.3382
O: 0.8439 0.4115 0.6128
O: 0.8484 0.7147 0.9276
O: 0.8529 0.6283 0.3584
O: 0.8776 0.4440 0.1960
O: 0.9690 0.1695 0.3289
O: 0.9928 0.9863 0.1655
O: 0.9978 0.8999 0.5954

ΔE_f ... -2.5813 eV/atom
DFT total energy ... -558.736 eV/cell
Symmetry ... P1
Distance to the lowest polymorph of the same formula ... 0.0 meV/atom

=====

Entry 2:
Material: Li6MnV3P6O24
Method: DFT, PBE with a Hubbard U
State: optimized geometry

a b c (Å): 8.4918 8.8397 12.4225
angles (deg): 90.00 92.17 90.00
Positions (direct):
Li: 0.0000 0.0000 0.0000
Li: 0.9999 0.1015 0.2493
Li: 0.0001 0.1015 0.7507
Li: 0.0000 0.2027 0.5000
Li: 0.2908 0.3002 0.1996
Li: 0.2932 0.9082 0.7013
Li: 0.4929 0.6043 0.2492
Li: 0.5000 0.5053 0.5000
Li: 0.5000 0.7034 0.0000
Li: 0.5071 0.6043 0.7508
Li: 0.7068 0.9082 0.2987
Li: 0.7092 0.3002 0.8004
Mn: 0.2090 0.6018 0.1024
Mn: 0.7910 0.6018 0.8976
V: 0.2125 0.6019 0.6060
V: 0.2835 0.0990 0.3919
V: 0.2847 0.1054 0.8911
V: 0.7153 0.1054 0.1089
V: 0.7165 0.0990 0.6081
V: 0.7875 0.6019 0.3940
P: 0.0000 0.3006 0.0000
P: 0.0000 0.8984 0.5000
└──
The text goes on:

Seatbelts are a fundamental safety measure in any vehicle. Ensure that you and your fellow passengers buckle up before the ride begins, regardless of the distance or duration of the trip.

Rideshare passengers often sit in the rear of the rideshare vehicle. You should not avoid wearing a seatbelt just because you’re riding in the back seat.

Respect Your Driver’s Focus

Distracted driving typically means unsafe driving. Once inside the rideshare vehicle, refrain from distracting the driver with unnecessary conversations or requests. Allow them to concentrate on the road and follow their instructions regarding music volume and other preferences.

If you notice your rideshare driver texting while driving or engaging in excessive conversations, you can politely ask the driver to pull over at a safe location so that you can exit the vehicle. There is nothing wrong with relying on a second vehicle to get you safely to your destination.

## Between two parts of the piece: crystal structures
- - -
DFT (GGA+U) results for crystalline FeOF at its relaxed geometry.

As for the density: 4.3 g/cm³. The calculation puts the total energy after the MP2020 corrections at -129.54 eV per cell. As for the volume: 11.6 A^3/atom. The total magnetization is 10.00 μB/cell. Its formation energy is -604 kJ/mol of formula units. The symmetry is P2_1, No. 4.

Cell lengths 4.7632, 4.7662, 9.2310 Å; angles 90.00, 90.05, 90.00 degrees
Element x y z (fractional)
Fe 0.2026 0.0000 0.0842
Fe 0.2210 0.0200 0.7493
Fe 0.2872 0.9557 0.4166
Fe 0.7128 0.4557 0.5834
Fe 0.7790 0.5200 0.2507
Fe 0.7974 0.5000 0.9158
O 0.0552 0.8163 0.9134
O 0.0682 0.8052 0.2539
O 0.4294 0.1670 0.5827
O 0.5706 0.6670 0.4173
O 0.9318 0.3052 0.7461
O 0.9448 0.3163 0.0866
F 0.0499 0.7829 0.5830
F 0.4428 0.2050 0.9186
F 0.4568 0.1885 0.2487
F 0.5432 0.6885 0.7513
F 0.5572 0.7050 0.0814
F 0.9501 0.2829 0.4170

***

DFT (GGA+U) results for crystalline Ba3SrCoCu3O12 at its relaxed geometry.

As for the density: 6.2 g/cm³. The calculation puts the total energy after the MP2020 corrections at -120.87 eV per cell. As for the volume: 12.7 A^3/atom. The total magnetization is 5.66 μB/cell. Its formation energy is -3342 kJ/mol of formula units. The symmetry is Amm2, No. 38.

Cell lengths 3.9844, 7.9711, 7.9711 Å; angles 90.16, 90.00, 90.00 degrees
Element x y z (fractional)
Ba 0.0000 0.0000 0.0000
Ba 0.0000 0.0003 0.5023
Ba 0.0000 0.5023 0.0003
Sr 0.0000 0.5048 0.5048
Co 0.5000 0.2544 0.2544
Cu 0.5000 0.2524 0.7520
Cu 0.5000 0.7513 0.7513
Cu 0.5000 0.7520 0.2524
O 0.0000 0.2562 0.2562
O 0.0000 0.2596 0.7438
O 0.0000 0.7438 0.2596
O 0.0000 0.7439 0.7439
O 0.5000 0.0033 0.7490
O 0.5000 0.0113 0.2535
O 0.5000 0.2535 0.0113
O 0.5000 0.2606 0.4947
O 0.5000 0.4947 0.2606
O 0.5000 0.5002 0.7399
O 0.5000 0.7399 0.5002
O 0.5000 0.7490 0.0033

***

DFT (GGA+U) results for crystalline SrMnPF at its relaxed geometry.

As for the density: 4.0 g/cm³. The calculation puts the total energy after the MP2020 corrections at -51.68 eV per cell. As for the volume: 19.9 A^3/atom. The total magnetization is 9.95 μB/cell. Its formation energy is -739 kJ/mol of formula units. The symmetry is P4/nmm, No. 129.

Cell lengths 4.1774, 4.1774, 9.1224 Å; angles 90.00, 90.00, 90.00 degrees
Element x y z (fractional)
Sr 0.2500 0.2500 0.1525
Sr 0.7500 0.7500 0.8475
Mn 0.2500 0.7500 0.5000
Mn 0.7500 0.2500 0.5000
P 0.2500 0.2500 0.6654
P 0.7500 0.7500 0.3346
F 0.2500 0.7500 0.0000
F 0.7500 0.2500 0.0000

***

DFT (GGA+U) results for crystalline Li3Si6NiO15 at its relaxed geometry.

As for the density: 2.7 g/cm³. The calculation puts the total energy after the MP2020 corrections at -754.66 eV per cell. As for the volume: 11.9 A^3/atom. The total magnetization is 12.01 μB/cell. Its formation energy is -6791 kJ/mol of formula units. The symmetry is Cmce, No. 64.

Cell lengths 10.9802, 10.9802, 10.0093 Å; angles 90.00, 90.00, 100.15 degrees
Element x y z (fractional)
Li 0.0181 0.4819 0.7500
Li 0.0664 0.9336 0.7850
Li 0.2345 0.2345 0.0000
- - -

Report Safety Concerns

If you encounter any safety concerns during your ride, such as reckless driving or discomforting behavior from the driver, don’t hesitate to report it to the ridesharing company immediately. Your feedback can help prevent similar incidents in the future.

After completing your ride, you should also take a moment to rate your overall experience and provide feedback on safety-related aspects. Honest feedback contributes to the improvement of safety standards within the ride-sharing community. If your driver maid you feel uneasy or safe, say as much in your comments to help protect other passengers.

Contact Justice Through Compensation for Help

If you or a loved one was injured in an accident, please know that the law firm of Justice Through Compensation is here to help. Our legal team is skilled, experienced, and passionate in their representation. Let us shoulder the burden of an injury claim or lawsuit while you focus on healing from your injuries. Contact us today for the quality legal help you deserve.

* Main image at top by freepik